Identification of Wood Turtle Nesting Areas
for Protection and Management
Materials data, as found in the file >
/*
VASP calculation (PBE-GGA) on a relaxed structure of Sm6Cd3Ru.

Cell: 9.207 5.403 11.643 Å, 90.00 108.39 90.00°
Space group P2_1/m (No. 11)
Asymmetric unit:
Sm 0.036 0.250 0.416 (multiplicity 2)
Sm 0.186 0.750 0.162 (multiplicity 2)
Sm 0.278 0.250 0.000 (multiplicity 2)
Sm 0.350 0.750 0.832 (multiplicity 2)
Sm 0.376 0.250 0.348 (multiplicity 2)
Sm 0.397 0.250 0.650 (multiplicity 2)
Cd 0.008 0.750 0.868 (multiplicity 2)
Cd 0.083 0.250 0.717 (multiplicity 2)
Cd 0.270 0.750 0.471 (multiplicity 2)
Ru 0.462 0.750 0.093 (multiplicity 2)

Magnetic moment, Bohr magnetons per cell: 0.0
Energy of formation, meV per atom: -229.6
E_tot, eV for the cell shown: -85.3



VASP calculation (PBE-GGA) on a relaxed structure of Sm8Cd2Ru.

Cell: 17.737 5.500 7.069 Å, 90.00 110.01 90.00°
Space group C2/m (No. 12)
Asymmetric unit:
Sm 0.019 0.000 0.284 (multiplicity 4)
Sm 0.094 0.500 0.915 (multiplicity 4)
Sm 0.150 0.500 0.443 (multiplicity 4)
Sm 0.197 0.000 0.775 (multiplicity 4)
Cd 0.183 0.000 0.201 (multiplicity 4)
Ru 0.000 0.500 0.500 (multiplicity 2)

Magnetic moment, Bohr magnetons per cell: 0.0
Energy of formation, meV per atom: -152.5
E_tot, eV for the cell shown: -101.1

----------

--- one ---
MgP2RuO (PBE, relaxed); density = 4.077 Mg/m³; SG = P4/mmm, No. 123
1.0
4.8375 0.0000 0.0000
0.0000 4.8375 0.0000
0.0000 0.0000 3.5391
Mg P Ru O
1 2 1 1
Direct
0.0000 0.0000 0.0000
0.0000 0.5000 0.0000
0.5000 0.0000 0.0000
0.5000 0.5000 0.5000
0.0000 0.0000 0.5000



--- two ---
MgP2RuO (PBE, relaxed); density = 3.937 Mg/m³; SG = P4/mmm, No. 123
1.0
4.8286 0.0000 0.0000
0.0000 4.8286 0.0000
0.0000 0.0000 3.6779
Mg P Ru O
1 2 1 1
Direct
0.0000 0.0000 0.0000
0.0000 0.5000 0.5000
0.5000 0.0000 0.5000
0.5000 0.5000 0.5000
0.5000 0.5000 0.0000



Last place for stability: one



--- one ---
MgScPO2 (PBE, relaxed); density = 2.513 Mg/m³; SG = P4/mmm, No. 123
1.0
3.9880 0.0000 0.0000
0.0000 3.9880 0.0000
0.0000 0.0000 5.4945
Mg Sc P O
1 1 1 2
Direct
0.0000 0.0000 0.0000
0.5000 0.5000 0.5000
0.5000 0.5000 0.0000
0.0000 0.5000 0.5000
0.5000 0.0000 0.5000



--- two ---
MgScPO2 (PBE, relaxed); density = 2.894 Mg/m³; SG = P4/mmm, No. 123
1.0
3.8347 0.0000 0.0000
0.0000 3.8347 0.0000
0.0000 0.0000 5.1599
Mg Sc P O
1 1 1 2
Direct
0.0000 0.0000 0.0000
0.5000 0.5000 0.5000
0.0000 0.0000 0.5000
0.0000 0.5000 0.0000
0.5000 0.0000 0.0000



Last place for stability: two



--- one ---
MgP2SeO (PBE, relaxed); density = 3.338 Mg/m³; SG = P4/mmm, No. 123
1.0
4.9721 0.0000 0.0000
0.0000 4.9721 0.0000
0.0000 0.0000 3.6469
Mg P Se O
1 2 1 1
Direct
0.0000 0.0000 0.0000
0.0000 0.5000 0.0000
0.5000 0.0000 0.0000
0.5000 0.5000 0.5000
0.0000 0.0000 0.5000



--- two ---
MgP2SeO (PBE, relaxed); density = 3.307 Mg/m³; SG = P4/mmm, No. 123
1.0
4.9649 0.0000 0.0000
0.0000 4.9649 0.0000
0.0000 0.0000 3.6912
Mg P Se O
1 2 1 1
Direct
0.0000 0.0000 0.0000
0.0000 0.5000 0.5000
0.5000 0.0000 0.5000
0.5000 0.5000 0.5000
0.5000 0.5000 0.0000



Last place for stability: one



--- one ---
*/
1 USDA Forest Service, Forestry Sciences Lab, 183 Highway 169 East,
Unrelated to this entry: data records =
VASP calculation (PBE) on BaCo2Te after structural relaxation.

Lattice parameters (Å, degrees): 6.1648 6.1648 6.1648 41.49 41.49 41.49
Fractional coordinates of all 4 atoms:
Ba 0.0000 0.0000 0.0000
Co 0.1845 0.1845 0.1845
Co 0.8155 0.8155 0.8155
Te 0.5000 0.5000 0.5000

## Properties
The uncorrected formation energy comes out at -97 meV per atom. The density of states at the Fermi level is 6.0 states/eV/cell. The final energy is -19.7 eV/cell.

* * * * *

Run A
Computed, not measured: a relaxed structure of SrLa2ZnIr at the GGA-PBE level of DFT.

Cell lengths 5.5264, 5.5264, 6.0084 Å; angles 90.00, 90.00, 90.00 degrees
Fractional positions:
Sr 0.0000 0.0000 0.5000
La 0.0000 0.5000 0.0000
La 0.5000 0.0000 0.0000
Zn 0.5000 0.5000 0.5000
Ir 0.0000 0.0000 0.0000

Results
**Magnetization**: 0.0 μB/f.u.

---

Run B
Computed, not measured: a relaxed structure of SrLa2ZnIr at the GGA-PBE level of DFT.

Cell lengths 5.6037, 5.6037, 5.1710 Å; angles 90.00, 90.00, 90.00 degrees
Fractional positions:
La 0.5000 0.0000 0.0000
La 0.0000 0.5000 0.0000
Sr 0.5000 0.5000 0.5000
Ir 0.0000 0.0000 0.0000
Zn 0.0000 0.0000 0.5000

Results
**Magnetization**: 0.0 μB/f.u.

---

Result of the stability comparison: run B is the most stable of them.

---

Run A
Computed, not measured: a relaxed structure of LaTaIr2 at the GGA-PBE level of DFT.

Cell lengths 3.1340, 3.1721, 7.8011 Å; angles 90.00, 90.00, 90.00 degrees
Fractional positions:
Ta 0.5000 0.5000 0.7500
Ir 0.0000 0.0000 0.5516
Ir 0.0000 0.0000 0.9484
La 0.5000 0.5000 0.2500

Results
**Magnetization**: 0.0 μB/f.u.

---

Run B
Computed, not measured: a relaxed structure of LaTaIr2 at the GGA-PBE level of DFT.

Cell lengths 4.3462, 4.3462, 5.9002 Å; angles 68.41, 68.41, 60.03 degrees
Fractional positions:
La 0.7500 0.7500 0.7500
Ta 0.2500 0.2500 0.2500
Ir 0.5357 0.5357 0.3929
Ir 0.9643 0.9643 0.1071

Results
**Magnetization**: 0.0 μB/f.u.

---

Run C
Computed, not measured: a relaxed structure of LaTaIr2 at the GGA-PBE level of DFT.

Cell lengths 3.0178, 3.9368, 6.9565 Å; angles 90.00, 90.00, 90.00 degrees
Fractional positions:
Ir 0.0000 0.0000 0.9800
Ir 0.5000 0.5000 0.2115
Ta 0.5000 0.5000 0.8433
La 0.0000 0.0000 0.4652

Results
**Magnetization**: 0.0 μB/f.u.

---

Result of the stability comparison: run A is the most stable of them.

---

Run A
Computed, not measured: a relaxed structure of LaTaIr2 at the GGA-PBE level of DFT.

Cell lengths 9.6864, 9.6864, 9.6864 Å; angles 17.96, 17.96, 17.96 degrees
Fractional positions:
La 0.2500 0.2500 0.2500
Ir 0.4890 0.4890 0.4890
Ir 0.0110 0.0110 0.0110
Ta 0.7500 0.7500 0.7500

Results
**Magnetization**: 0.5 μB/f.u.

---

Run B
Computed, not measured: a relaxed structure of LaTaIr2 at the GGA-PBE level of DFT.

Cell lengths 7.6500, 7.6500, 7.6500 Å; angles 156.20, 151.18, 37.71 degrees
Fractional positions:
Ir 0.2230 0.7230 0.5000
Ir 0.9342 0.9342 0.0000
Ta 0.7928 0.2928 0.5000
La 0.5500 0.5500 0.0000

Results
**Magnetization**: 0.0 μB/f.u.

---

Run C
Grand Rapids, MN 55744, USA / e-mail:
== Records of crystals from another source follow ==
~~~
# 1
This record from Alexandria describes a relaxed CsAcH2 crystal. The functional is GGA-PBE.

Computed properties:
* excess energy over the best structure of this formula in the dataset: 0.260 eV/atom

abc: 3.581 3.581 8.102
angles: 90.00 90.00 90.00
Fractional positions:
Ac 0.500 0.500 0.000
H 0.000 0.000 0.141
H 0.000 0.000 0.859
Cs 0.500 0.500 0.500

---

# 2
This record from Alexandria describes a relaxed Sr2CdSeBr crystal. The functional is GGA-PBE.

Computed properties:
* uncorrected formation energy: -0.699 eV per atom

abc: 5.821 6.558 5.821
angles: 90.00 90.00 90.00
Fractional positions:
Br 0.000 0.500 0.000
Sr 0.000 0.000 0.500
Sr 0.500 0.000 0.000
Cd 0.500 0.500 0.500
Se 0.000 0.000 0.000

---

# 3
This record from Alexandria describes a relaxed Ba6Pd2RhI3 crystal. The functional is GGA-PBE.

Computed properties:
* uncorrected formation energy: -0.934 eV per atom

abc: 8.059 8.059 9.074
angles: 98.51 98.51 119.98
Fractional positions:
Ba 0.933 0.611 0.799
Ba 0.389 0.067 0.201
Ba 0.745 0.745 0.202
Ba 0.611 0.933 0.799
Ba 0.255 0.255 0.798
Ba 0.067 0.389 0.201
I 0.832 0.168 0.500
I 0.500 0.500 0.500
I 0.168 0.832 0.500
Rh 0.000 0.000 0.000
Pd 0.334 0.666 0.000
Pd 0.666 0.334 0.000

---

| no. | magnetization (μB per formula unit) | Fermi-level density of states (states/eV/f.u.) |
| --- | --- | --- |
| 1 | 0.00 | 3.0 |
| 2 | 0.00 | 3.0 |
| 3 | 0.00 | 7.2 |
~~~
2 710 High St., Duluth, MN 55805-1135, USA
3 USDA, Forest Service, North Central Forest Experiment Station,
1992 Folwell Ave., St. Paul, Minnesota 55108, USA
ABSTRACT: The wood turtle, Clemmys insculpta, is a long-lived, semi-aquatic, riverine species that inhabits forested regions of the northcentral and northeastern United States and adjacent regions of Canada. Many states list the wood turtle as Endangered or Threatened and it is now listed on Appendix II of the Convention on International Trade in Endangered Species (CITES). In this paper, we examine the hypothesis that nesting areas are critical determinants of wood turtle occurrence in northern portions of its range. We measured six habitat variables at 334 nesting sites and used those data to develop criteria that define suitable nesting areas. Our study demonstrated that wood turtles in the Upper Great Lakes Region prefer nesting areas that are near water, very sandy, elevated, bare, and well exposed to solar radiation. Using a geographic information system (GIS), we designed a model that used sandy soil and stream spatial data to locate potential wood turtle nesting areas. The accuracy of the model was evaluated using three methods: aerial photographic interpretation, aerial survey, and ground survey. The ground survey confirmed that all wood turtles and nearly all potential nesting areas meeting the criteria were located near river reaches predicted by the GIS to have potential for producing nesting areas. Aerial photographic interpretation yielded unacceptably poor information, while the aerial survey was acceptable for identifying major nesting areas.
Geologic factors most likely determine the local distribution of wood turtles. In glaciated portions of their range, the historic distribution of wood turtles was probably correlated with the soils from glacial outwash plains. Because these soils occur in isolated patches, wood turtle populations have probably always occurred in disjunct segments. However, human activity has altered the availability of sand and gravel, which in turn may have altered the local distribution of wood turtles. Wood turtles are vulnerable to loss or degradation of their nesting areas from streambank stabilization, channelization, damming, and dredging programs. Thus, it is essential that resource managers identify and protect this element of critical habitat. Because nesting areas are a landscape feature, a partnership of private and public entities is required to effectively manage wood turtles in entire watersheds.